In celebration of the International Day against homophobia, biphobia, intersexphobia and transphobia (IDAHOBIT), interfaith partners collaborated in hosting a webinar titled “Faith as a sanctuary–Can LGBTQI+ trust in faith during a pandemic of violence?” The webinar was hosted against a painful context of constant, brutal murders of LGBTQI+ people across South Africa, addressing pertinent question of whether faith can be a viewed as a safe space for LGBTQI+ people within the current climate of violence.
The webinar was moderated by Justice Edwin Cameron, with guests Dr Anastasia Thomson, Siya Khumalo, and Imam Muhsin Hendricks. The panellists shared personal narratives of faith and sexuality, navigating their families located within the heart of orthodox believers. Imam Hendricks spoke of allowing one to journey with their spirituality and sexuality, a journey of self-discovery through critically engaging scriptures, questioning and confidently redefining and reclaiming your faith from a space of knowledge and self-awareness.
(Next to the article, the page also holds crystal structures)
~~~
MnCuPtO6 | PBE+U | relaxed

For the magnetization, the calculation gives 2.36 μB/cell. The calculated volume comes out at 190 Å³/cell. The total energy is -5.87 eV per atom.

Cell lengths 5.0364, 5.0364, 8.6355 Å; angles 90.00, 90.00, 120.00 degrees
Closest atoms and distances in Å follow each position.
Space group P-31c (No. 163)
Unique sites:
Mn 0.3333 0.6667 0.2500 (multiplicity 2)  6 O 1.93
Cu 0.0000 0.0000 0.0000 (multiplicity 2)  6 O 2.07
Pt 0.3333 0.6667 0.7500 (multiplicity 2)  6 O 1.99
O 0.0092 0.3551 0.1261 (multiplicity 12)  1 Mn 1.93, 1 Pt 1.99, 1 Cu 2.07

----------

Record 1
# GGA-PBE LiHfU2P4, relaxed
# SG: P2/m, No. 10
data_LiHfU2P4
_symmetry_space_group_name_H-M 'P 1'
_symmetry_Int_Tables_number 1
_cell_length_a 3.853
_cell_length_b 6.717
_cell_length_c 6.527
_cell_angle_alpha 109.94
_cell_angle_beta 90.00
_cell_angle_gamma 90.00
loop_
_symmetry_equiv_pos_as_xyz
'x,y,z'
loop_
_atom_site_label
_atom_site_type_symbol
_atom_site_fract_x
_atom_site_fract_y
_atom_site_fract_z
Li1 Li 0.500 0.500 0.000
Hf1 Hf 0.000 0.000 0.000
U1 U 0.500 0.000 0.500
U2 U 0.000 0.500 0.500
P1 P 0.500 0.244 0.237
P2 P 0.500 0.756 0.763
P3 P 0.000 0.247 0.758
P4 P 0.000 0.753 0.242

Record 2
# GGA-PBE LiHf2ZrP4, relaxed
# SG: P2/m, No. 10
data_LiHf2ZrP4
_symmetry_space_group_name_H-M 'P 1'
_symmetry_Int_Tables_number 1
_cell_length_a 3.713
_cell_length_b 6.432
_cell_length_c 6.443
_cell_angle_alpha 108.98
_cell_angle_beta 90.00
_cell_angle_gamma 90.00
loop_
_symmetry_equiv_pos_as_xyz
'x,y,z'
loop_
_atom_site_label
_atom_site_type_symbol
_atom_site_fract_x
_atom_site_fract_y
_atom_site_fract_z
Li1 Li 0.500 0.500 0.000
Hf1 Hf 0.500 0.000 0.500
Hf2 Hf 0.000 0.500 0.500
Zr1 Zr 0.000 0.000 0.000
P1 P 0.500 0.255 0.251
P2 P 0.500 0.745 0.749
P3 P 0.000 0.250 0.747
P4 P 0.000 0.750 0.253

Record 3
# GGA-PBE LiHfZr2P4, relaxed
# SG: P2/m, No. 10
data_LiHfZr2P4
_symmetry_space_group_name_H-M 'P 1'
_symmetry_Int_Tables_number 1
_cell_length_a 3.727
_cell_length_b 6.452
_cell_length_c 6.441
_cell_angle_alpha 109.05
_cell_angle_beta 90.00
_cell_angle_gamma 90.00
loop_
_symmetry_equiv_pos_as_xyz
'x,y,z'
loop_
_atom_site_label
_atom_site_type_symbol
_atom_site_fract_x
_atom_site_fract_y
_atom_site_fract_z
Li1 Li 0.500 0.500 0.000
Hf1 Hf 0.000 0.000 0.000
Zr1 Zr 0.500 0.000 0.500
Zr2 Zr 0.000 0.500 0.500
P1 P 0.500 0.251 0.244
P2 P 0.500 0.749 0.756
P3 P 0.000 0.250 0.753
P4 P 0.000 0.750 0.247

Record 4
# GGA-PBE LiHfPa, relaxed
# SG: Pnma, No. 62
data_LiHfPa
_symmetry_space_group_name_H-M 'P 1'
_symmetry_Int_Tables_number 1
_cell_length_a 3.097
_cell_length_b 5.686
_cell_length_c 14.333
_cell_angle_alpha 90.00
_cell_angle_beta 90.00
_cell_angle_gamma 90.00
loop_
_symmetry_equiv_pos_as_xyz
'x,y,z'
loop_
_atom_site_label
_atom_site_type_symbol
_atom_site_fract_x
_atom_site_fract_y
_atom_site_fract_z
Pa1 Pa 0.750 0.064 0.896
Pa2 Pa 0.250 0.436 0.396
Pa3 Pa 0.750 0.564 0.604
Pa4 Pa 0.250 0.936 0.104
Li1 Li 0.250 0.890 0.464
Li2 Li 0.750 0.110 0.536
~~~
Finding faith spaces of acceptance and healing
In response to the question of how we can address pain experienced from weaponized faith, Siya Khumalo recognized the work done in creating affirming churches and denominations, encouraging people to be members of these spaces. He also located the power of “church” within the community, encouraging us to draw strength from scriptures and refusing to allow faith leaders to exacerbate violence against people in their name as members. Faith institutions will be forced to evolve, adapt, or die when the community they serve reflects the love that they are choosing to be blind to. This was supported by Dr Thomson, who encouraged people to be a part of progressive spaces of faith. Another pertinent question that emerged was ‘is it possible that there can be a space for queer people in the faith community and space for healing?’ Dr. Thomson shared the importance of a “realisation of a different kind of faith that is emerging out of personal experiences beyond religious tradition”. For her, it was essential in locating progressive Judaism, one that provided a different lens and centred human rights. “Getting in touch with these inclusive spaces really helps you know and access to information that can really help to reconcile with faith, “agreed Imam Hendricks.
Navigating differences and holding faith leadership to account
Justice Edwin Cameron drew on the lessons taught to us by Simon Nkoli of “organisation, solidarity, and action” in responding to a participant’s question on how we write the next chapter with or without our religious institutions. Khumalo identified the need to find the unity within our diversity to address existing tensions within the LGBTQI+ community. Together, we can use the South African Constitution as the common ground to collectively work to address public perception and social attitudes and holding leaders accountable for human rights violations.
“I think we have to start holding the leaders of these [faith] institutions accountable because it is their concern, whether they themselves are part of the LGBTQIA+ community or not, it is their concern and we must implore them to stand up for the values and the ethics that they claim to represent when they speak from their pulpits and put their money where their mouths are, actually take that action and to spur their congregations and their communities into action,” said Khumalo
What now?
The panellists as well as coordinators were invited to contribute to the question of what now, with Thuli Mjwarafrom IAM sharing the following,
“What does this mean, it means signing the petition that is going around. It means tweeting the Department of Justice, writing letters, speaking out and saying that this is an injustice and we’re not going to accept it lying down. It means also that we also speak to our faith leaders because we know our communities in our church, we know our leaders, we know the homophobes… The same knowledge when you come into your faith space, knowing who are the people that we need to have these conversations with. It’s about starting the conversation. It’s about remembering that as we are about to join in prayer, there are those who cannot access the faith space just because they dress in a particular way or they present themselves in a particular way, it’s about including them in the prayer, it’s about inviting them to the table…I mean I know … we say (…) no matter how vocal you are on social media, at times it’s not enough. And this is why, with your visibility, we need action as well. This action can come in forms of volunteering in LGBTQI organisations. Contributions, so if you do donations, (donate) towards Trans-led organisations (and) towards movements of LGBTQI in the community that require the support. As some of them are very limited in terms of how they keep mobilising. It’s about, even if it means opening up your garage to allow parents to come in to have the conversation and you inviting that organisation to lead that conversation about how can we make space in our community, our homes safe for people who are different, but it doesn’t just have to be different in terms of LGBTQI it could be around ableism, it could be about nationality, how do we make our homes, our communities safe for whoever who is part of our community because we need a human-first led community movement.”
Reflections on the webinar
After the webinar, which you can watch in its entirety here or read the transcript here, the coordinating partners reflected on the issues and points of view brought up during the conversation
“It seemed like it couldn’t get any worse, and then it did. So many LGBTQIA murders are happening. What can be done? Several queer faith leaders came together to discuss this horror and explore what they might do. Jewish, Christian, Muslim, Buddhist. We all came together to look for a way to make a positive difference. One area of focus was the need for more allies for the LGBTQIA community. Perhaps if more people heard the stories of the pain and suffering caused by faiths that hurtfully turn away anyone who is somehow “different”, perhaps then a seed of compassion might be planted. We decided upon a panel discussion to explore whether faith could be a sanctuary? We were fortunate that Justice Edwin Cameron agreed to moderate, and our three panellists showed courage sharing with real stories of their own painful journeys. The recording has now been sent all over the world, circulating amongst Christian leaders in the Holy Land, shared with Pakistani youth, sent to USA and the UK to bring awareness to South Africa’s LGBTQIA plight. We hope that this webinar is the first of many to raise awareness and stop the killings.” – Rev. Nima Taylor, Unitarian Church
“I was immediately drawn in by the warmth of the panellists’ sharing and the authenticity of their experiences. This was enhanced by the gentle facilitation of Judge Cameron. The conversation reached a depth and, although challenging at times, touched hearts.” – Laurie Gaum, Cape Interfaith Initiative
“This webinar was definitely something that was waiting for the right moment. The conversation is needed on so many levels, and it is my belief that the more we bring to The Light the devastating impact that religion has on the LGBTIQA+ community, the more we acknowledge the deep wounds phobia and exclusion causes and start to take responsibility for the warped messaging that is ingrained in society, the more religion can become a source of healing and reconciliation in the lives of those marginalized by unhealthy religious dogma. This is not what true spirituality is about. Used in the intended way, it should bring about hope, empowerment, belonging, freedom, and peace. In this I find my own source to keep doing the work and join with other faith leaders and organization’s that are like minded.” – Rev. Beulah Durrheim, Good Hope Metropolitan Christian Church
“It was a beautiful space that was created.
This statement may seem simplistic, and I hope it is, if you pause for a moment and reflect on each word and its connection to the other words and the whole sentences. I am someone who loves words and discovering how they land for others. When real authentic conversations, the ones that come from the heart, show up, AND are reflected through very different voices, for me there is a beautiful phenomenon that arises, a space of freedom, an opening even for what world peace could look like. As I participated in co-hosting this webinar, my whole body was alive and tingling with excitement and pure joy, my heart was beating that much faster, because this is real life experience that was being shared and held in a safe space. Whilst I am aware it is also a very privileged space, and that many of our siblings did not have the physical resources to even access this webinar in person, I do hope that this can stand out as a resource to be watched and viewed by so many, and become a timeless piece that offers hope and recognition to so many out there, who feel maligned, ex-communicated, alienated, mistreated, abused, and whose spirit has been killed off by faith communities. That they can watch this, and see that there are those of us, who have been where they are, and have gotten to the other side, and are waiting for them……hands open and outstretched to welcome them.” – Jacqui Benson, Cape Jewish Board of Deputies